It’s actually a clever concept. Setting aside the atrocious movie made a couple years ago, there have actually been a few genuinely good AvP stories.
The original Dark Horse comic tops it all, of course, and it deserves most of the credit for the clever concept of the series. Basically, the Predators are a race of hunters who like to hunt challenging and dangerous game. Now, the Alien is indeed a challenging opponent, so the ever-resourceful Predators actually manage to capture an Alien queen. They lock it up and restrain it, but the also force it to lay eggs. Each egg is inspected, and if the egg contains another Alien queen, that egg is destroyed. Regular alien eggs are then put onto small spaceship probes which are then sent out to habitable planets – sorta like they’re stocking the planets with game (and since there’s no queens, there’s finite number of prey). Predator hunting expeditions then go out to the stocked planet and hunt the Aliens. Again, the Aliens are dangerous, so it’s not unheard of for a Predator to lose it’s life in the process – but usually the group of Predators still emerge victorious. Now, the comic books up the ante a little. The Alien queen isn’t completely helpless, it seems, and manages to trick the automated Predator machinery into allowing an Alien queen egg to be sent out. Of course, those eggs are sent to a planet that also contains… humans! The series goes into some detail on the social habits of Predators, and even manage to establish an individual Predator (who has a chipped mandible) character that we can relate to (he’s an honorable guy) and some humans that we care about as well. In the end, the story worked really well, and lots of other projects were kicked off.
The original comic book series was followed by a slew of other Predator crossovers: Batman versus Predator, Superman vs. Predator, and Aliens vs. Predator vs. The Terminator (of course!) are just a few examples. Naturally, none of those series captured the imagination of audiences quite as much as the original. The clever thing about AvP was that the Alien just fits much better into the role of prey, and the writers were able to play around with that concept in new and interesting ways. I’ve only read the Batman vs. Predator series (which was mildly lame), but it seems like all the other Predator spinoffs were basically reliant on the same premise: Predator wants to hunt something challenging, and Superman/Batman/Judge Dredd/whoever is much deadlier than your average human.
There was a series of video games based on the AvP universe. I’ve only ever played Aliens versus Predator 2, but it was a great first person shooter – among the tensest games I’ve played, it constantly had me on the edge of my seet or jumping as an Alien pounces. You also get to play the game as a human, Predator, or Alien, and the game’s story (which isn’t anything special, but not actively bad either, and playing from different perspectives is actually pretty cool, because you get to fill in some of the blanks). The video games capture the feel of the AvP universe and create a wonderful sense of atmosphere (when you’re the Colonial Marine, for instance, you’ve got the motion tracker pinging away at you, which can be just excruciating at times). The games are quite effective.
A pretty good movie script which basically adapts the AvP comic series was written, but apparently shelved in favor of this crap. This really baffled me at the time (and I guess it still does). I know, I know, what was I expecting? “Versus” movies don’t exactly have a high quality ratio and so most people expected dumb action (which the movie barely manages to deliver). Indeed, when I recently saw the Hitman movie, I had appropriately low expectations for the film and was thus not dissapointed (incidentally, that movie was much better than the first AvP movie, which, granted, isn’t saying much, but still). However, the Hitman movie was based off a series of video games that had no real plot (you play a hitman who must, you know, kill people), so it would make sense for the movie to be complete crap. AvP, on the other hand, had compelling source material with a proven track record. Not only that, but comic books are notably easier to adapt than literature or video games. The biggest issue with adapting a comic book is knowing which story arc to pick, but AvP was a 4 issue series (i.e. it’s not like Spider Man, which has been churning out story after story for decades) so that problem is non-existant. So, to recap, you’ve got compelling source material with a proven track record that will be really easy to adapt (heck, the comic books are basically a set of storyboards!). I suppose you could be worried that the comic book audience would be bored by a simple rehashing of the original story (which I don’t agree with), but you’ve got to realize that the audience for a new Aliens or Predator movie is much larger than the audience of the comic book ever could be.
So whatever, the filmmakers decide to go another route. Fine. So what do they do? The change the setting to be the polar ice caps of Earth, put a Predator pyramid under all the ice, and put the whole Alien queen contraption in that pyramid. They somehow feel the need to tie this movie in with the Alien series by employing the services of Lance Henriksen (who is not playing an android, but rather the human that the android is based on), but then they get crap talent for everything else. It’s just an awful, awful movie. I’ve already rambled enough, so I won’t bore you with all the things this movie gets wrong, but I do want to call out one thing: the Predators are absolute wimps in this movie. In the comic, the Aliens get the better of most of the Predator hunting party, but only because of sheer numbers (because there was an Alien queen on the planet, there were way more Aliens running around than expected). And even then, you’ve got Broken Tusk (the good guy Predator), who’s just an absolute badass and manages just fine despite the numerical disadvantage (with a little help from a human). I dunno, maybe people like the Aliens enough that they want to see them win all the time, but personally, I can relate much more to the Predators. They at least have some concept of honor and personality, and I enjoyed seeing them team up with the humans in the AvP comic books. I mean, they’ve got the technology, the smarts, and they’ve obviously been hunting Aliens for a very long time, so why does the movie consistently portray the Predator as being a helpless weenie when faced with even just a single Alien? I really don’t get it.
Aliens vs. Predator: Requiem just came out yesterday, and from initial reports, it seems that the new movie is just as bad as if not worse than the original. How this is possible, I do not know. Do I have the guts to actually find out? I’m not sure. I’m usually up for bad movies like this, but I just don’t know if I can take another round of this crap.
Records of crystals, kept here for reference:
- - -
# Sm2HoIn9
Calculated PXRD pattern, Cu Kα (weighted mean of Kα1 and Kα2). Input: DFT lattice parameters and positions (PBE).
Lines closer than 0.1° are merged.

Peak list (10 most intense, 2θ from 15° to 90°, low angle first)
2θ 19.02, I 1.6
2θ 27.03, I 1.3
2θ 33.26, I 100.0
2θ 38.60, I 49.8
2θ 43.37, I 0.8
2θ 47.75, I 0.6
2θ 55.73, I 33.4
2θ 66.46, I 38.8
2θ 69.84, I 11.2
2θ 82.74, I 5.3

Cell lengths 4.6659, 4.6659, 13.9944 Å; angles 90.00, 90.00, 90.00 degrees
Fractional positions:
Sm 0.0000 0.0000 0.1678
Sm 0.0000 0.0000 0.8322
Ho 0.0000 0.0000 0.5000
In 0.0000 0.5000 0.0000
In 0.0000 0.5000 0.3360
In 0.0000 0.5000 0.6640
In 0.5000 0.0000 0.0000
In 0.5000 0.0000 0.3360
In 0.5000 0.0000 0.6640
In 0.5000 0.5000 0.1672
In 0.5000 0.5000 0.5000
In 0.5000 0.5000 0.8328

* * * * *

This entry pairs a crystal structure of NbVPd2 with its simulated X-ray diffraction stick pattern. Radiation: Cu Kα (λ = 1.5418 Å). Structure: a cell relaxed with GGA-PBE.
Peak positions follow from Bragg's law for the DFT cell and can differ from measured ones.

Structural model:
a b c (Å): 3.8845 3.8845 4.0734
angles (deg): 90.00 90.00 90.00
Space group P4/mmm (No. 123)
Unique sites:
Nb (0.0000, 0.0000, 0.0000) [1 per cell]
V (0.5000, 0.5000, 0.0000) [1 per cell]
Pd (0.0000, 0.5000, 0.5000) [2 per cell]

Peak list (10 most intense, 5 to 70 degrees two-theta, most intense first)
| hkl | 2θ/deg | I/Imax |
| --- | --- | --- |
| 1 1 1 | 39.57 | 100 |
| 2 0 0 | 46.77 | 31 |
| 2 0 2 | 66.52 | 21 |
| 0 0 2 | 44.48 | 18 |
| 2 2 0 | 68.30 | 9 |
| 0 0 1 | 21.82 | 4 |
| 1 0 0 | 22.89 | 3 |
| 1 1 0 | 32.60 | 3 |
| 1 0 1 | 31.83 | 3 |
| 2 0 1 | 52.17 | 2 |


This entry pairs a crystal structure of K2Ir3S6 with its simulated X-ray diffraction stick pattern. Radiation: Cu Kα (λ = 1.5418 Å). Structure: a cell relaxed with GGA-PBE.
Peak positions follow from Bragg's law for the DFT cell and can differ from measured ones.

Structural model:
a b c (Å): 6.3450 10.9876 7.3053
angles (deg): 90.00 106.79 90.00
Space group C2/m (No. 12)
Unique sites:
K (0.0000, 0.1668, 0.0000) [4 per cell]
Ir (0.0000, 0.0000, 0.5000) [2 per cell]
Ir (0.0000, 0.3326, 0.5000) [4 per cell]
S (0.2198, 0.5000, 0.6640) [4 per cell]
S (0.2216, 0.1660, 0.6631) [8 per cell]

Peak list (10 most intense, 5 to 70 degrees two-theta, most intense first)
| hkl | 2θ/deg | I/Imax |
| --- | --- | --- |
| 0 0 1 | 12.66 | 100 |
| 1 3 1 | 33.00 | 56 |
| 2 0 -1 | 28.46 | 26 |
| 2 0 0 | 29.42 | 25 |
| 1 3 2 | 41.45 | 21 |
| 0 6 0 | 49.79 | 19 |
| 3 3 0 | 51.59 | 18 |
| 0 0 2 | 25.47 | 17 |
| 2 0 2 | 44.84 | 17 |
| 1 3 3 | 52.28 | 14 |


This entry pairs a crystal structure of ScTi5N6 with its simulated X-ray diffraction stick pattern. Radiation: Cu Kα (λ = 1.5418 Å). Structure: a cell relaxed with GGA-PBE.
Peak positions follow from Bragg's law for the DFT cell and can differ from measured ones.

Structural model:
a b c (Å): 5.2537 9.0968 5.2580
angles (deg): 90.00 109.43 90.00
Space group C2/m (No. 12)
Unique sites:
- - -
You know I sometimes align the calibre of the movie I’m seeing with the calibre of trailers being presented. I was therefore mighty confused when I saw No Country For Old Men and was presented with trailers for AVP and Rambo (and the whole theatre burst into laughter at the latter).
On the other hand, the ads before Atonement were for tampons …
If aligning trailers with the movie is a common practice, then I pity No Country For Old Men… but then, it’s still a great movie, so bleh.
I actually broke down and saw AVPR (as it’s known now) and was surprised to find that it might even be a little better than the first one. That, of course, is damning with faint praise, but that’s also appropriate. It’s not a good movie. The plot is basically the same as Critters… which, again, is far superior to the first movie’s plot. Basically, a Predator ship becomes overrun with Aliens (basically the continuation of the twist ending of AVP, including a “Predator” Alien hybrid) and crash lands on Earth. Before kicking the bucket, a surviving Predator radios home and thus a new Predator ship is dispatched. This Predator arrives and promptly starts kicking ass while also covering tracks and removing any evidence of alien or predator presense on earth.
Again, it’s not a good film, but there were things I liked. The Predator was back to being appropriately badass. The plot held together mildly well for such a hackneyed concept. The specifics kinda sucked and the human characters were mostly boring/stupid. The ending isn’t a twist, but it’s consistent with the story I guess, and left me with a good taste. So it’s not good, but it’s not any worse than the first movie. Probably a decent rental, but only for die hard fans (like myself:P)